# Assignment
Next, repeat the lines below from the one with "4.11 0.72" to the one with "-2.60 5.08" with every line break kept.

# Material
Below is C40H49HoN2O7P2S3 as an isolated structure in a non-equilibrium geometry, with properties calculated with wB97M-V/def2-TZVPD.

Geometry as XYZ:
```
104
C40H49HoN2O7P2S3 wB97M-V/def2-TZVPD
Ho -0.19 0.41 -0.44
S -0.40 2.35 -3.02
S 2.18 1.26 2.21
S 2.25 -0.72 -2.45
P -1.38 2.01 1.61
P -3.15 0.30 -0.41
O -0.97 -1.18 -1.55
O 1.41 0.45 -1.93
O 1.48 0.60 1.04
O -0.62 2.28 -1.52
O -2.11 -5.67 1.01
O -2.69 -4.27 -0.61
O 0.90 -2.12 -0.83
N -1.08 -1.79 2.67
N -0.66 -1.29 1.51
C 4.74 1.44 1.07
C -4.35 -0.80 1.91
C 7.00 0.73 1.48
C -2.94 0.82 3.65
C 5.92 1.54 1.79
C 1.26 -1.46 -3.76
C 3.55 2.25 1.43
C -2.10 2.18 -3.72
C -2.71 0.93 2.28
C 6.89 -0.21 0.46
C 3.20 -0.06 3.01
C -0.35 4.15 -3.43
C -1.53 -3.34 1.19
C -3.86 -0.09 4.14
C -2.15 -4.47 0.44
C 0.52 -3.43 -4.90
C -0.93 -2.22 0.59
C 0.50 -0.67 -4.61
C 2.33 -2.39 2.84
C -3.42 0.10 1.40
C -2.36 3.41 -4.58
C -0.24 -1.27 -5.62
C -2.28 3.48 0.93
C 3.42 0.17 -3.54
C -1.76 4.59 -3.81
C -4.56 -0.91 3.27
C -0.23 -2.65 -5.76
C 5.71 -0.31 -0.26
C 2.34 -1.18 3.51
C 0.89 -2.12 5.19
C -4.63 1.38 -0.70
C -1.60 -3.02 2.53
C -3.86 -1.22 -1.15
C 1.63 -3.47 3.36
C 0.92 -3.34 4.54
C -0.31 -1.90 -0.75
C 4.64 0.50 0.04
C 1.27 -2.84 -3.90
C 1.60 -1.04 4.69
C -0.73 2.80 3.15
H -1.52 3.38 3.63
H 0.07 4.67 -2.58
H 0.33 4.24 -4.27
H -4.93 -1.30 -0.97
H 1.61 -0.10 5.22
H 3.91 -0.44 2.28
H 0.35 -2.02 6.12
H -0.81 -3.11 -6.55
H -2.33 3.40 -0.16
H 4.11 0.72 -2.92
H 1.67 -4.42 2.85
H 3.06 2.68 0.56
H -3.70 -1.14 -2.23
H -2.01 -3.56 3.36
H -3.28 3.56 1.35
H -4.87 1.38 -1.77
H 7.73 -0.85 0.23
H -3.35 -2.12 -0.82
H 7.91 0.82 2.04
H -2.76 2.14 -2.85
H -5.30 -1.61 3.65
H -2.42 1.45 4.35
H -4.03 -0.16 5.20
H 0.08 3.48 2.87
H -0.33 2.06 3.83
H 3.79 3.04 2.15
H 0.53 -4.51 -5.02
H -4.90 -1.44 1.23
H 2.89 0.85 -4.20
H -5.48 0.96 -0.16
H -2.17 1.24 -4.26
H 3.72 0.44 3.82
H -0.82 -0.66 -6.30
H -4.47 2.40 -0.37
H -1.71 4.37 1.19
H -0.94 -1.28 3.53
H -2.35 4.80 -2.93
H -1.60 -5.72 1.82
H -1.72 5.49 -4.43
H 5.63 -1.04 -1.06
H 3.97 -0.57 -4.12
H 0.40 -4.19 4.96
H 1.85 -3.44 -3.21
H 0.50 0.40 -4.49
H -3.42 3.54 -4.75
H 2.90 -2.50 1.93
H 6.00 2.26 2.59
H -1.86 3.30 -5.54
H 3.70 0.40 -0.49
```

Computed properties:
gap between HOMO and LUMO (spin up / spin down)	9.636 / 9.640	eV
multiplicity	5
total charge	+2



Below is C40H50AlGeO7S2Si as an isolated structure, with properties calculated with wB97M-V/def2-TZVPD.

Geometry as XYZ:
```
102
C40H50AlGeO7S2Si wB97M-V/def2-TZVPD
Ge -0.80 5.15 1.32
S 1.88 0.08 -0.16
S -1.61 -1.55 0.20
Si 1.51 -0.36 -2.16
Al -0.32 0.31 0.28
O -0.37 0.49 2.02
O -1.09 1.80 -0.23
O 1.72 -1.92 -2.61
O -1.19 3.17 -1.98
O -0.29 0.36 4.22
O -0.10 -0.08 -2.32
O 2.43 0.48 -3.22
C 3.34 -2.43 -4.29
C 3.07 1.76 -3.23
C -0.96 7.54 -2.17
C 3.40 2.02 -4.70
C -1.45 -1.37 3.07
C -0.90 6.46 -1.30
C -1.71 5.65 4.09
C -0.64 -0.09 3.15
C 2.90 -2.67 -2.85
C -2.24 0.47 -3.18
C -0.96 -0.30 -3.45
C -1.59 6.15 5.39
C 4.00 -2.28 -1.88
C 2.13 2.82 -2.69
C -2.73 3.47 -0.17
C 0.90 4.24 1.02
C -2.96 -3.71 3.26
C -1.24 -1.79 -3.57
C 1.17 3.07 1.73
C -0.47 6.87 5.75
C -0.71 5.86 3.15
C 2.38 2.41 1.58
C 0.42 6.58 3.54
C 2.51 -4.13 -2.65
C -1.09 9.05 -0.31
C 3.09 4.09 0.02
C -1.05 8.83 -1.67
C -0.94 6.66 0.09
C 0.54 7.09 4.83
C -2.52 -3.08 4.42
C 4.35 1.69 -2.41
C -1.60 2.77 -0.91
C -1.77 -1.93 4.31
C -2.31 3.91 1.23
C -0.28 0.22 -4.71
C 3.34 2.93 0.73
C -1.89 -2.00 1.90
C -2.64 -3.17 2.03
C 1.87 4.74 0.16
C -1.03 7.97 0.57
H -3.16 4.39 1.73
H 4.28 2.41 0.60
H 2.59 3.81 -2.78
H 1.68 5.64 -0.41
H -0.32 -2.35 -3.70
H -3.54 -4.62 3.32
H -0.96 0.13 -5.56
H 1.90 2.64 -1.64
H -2.60 5.08 3.83
H 4.25 -2.99 -4.52
H 4.83 2.66 -2.39
H -1.90 -1.97 -4.42
H -1.16 10.06 0.08
H -2.98 -3.66 1.13
H -2.76 -3.49 5.40
H -0.02 1.27 -4.58
H 2.55 1.49 2.12
H 1.69 -4.40 -3.31
H 3.84 4.49 -0.66
H -0.94 7.37 -3.23
H -2.38 5.96 6.11
H 2.55 -2.75 -4.98
H -3.07 4.31 -0.78
H 4.07 1.25 -5.08
H 2.49 2.02 -5.29
H -0.85 5.46 -1.70
H 3.64 -2.35 -0.85
H 3.35 -4.79 -2.85
H -1.09 9.67 -2.36
H -2.97 0.26 -3.96
H 5.04 0.96 -2.83
H 2.18 -4.29 -1.62
H -2.67 0.18 -2.22

# Written answer
H 4.11 0.72 -2.92
H 1.67 -4.42 2.85
H 3.06 2.68 0.56
H -3.70 -1.14 -2.23
H -2.01 -3.56 3.36
H -3.28 3.56 1.35
H -4.87 1.38 -1.77
H 7.73 -0.85 0.23
H -3.35 -2.12 -0.82
H 7.91 0.82 2.04
H -2.76 2.14 -2.85
H -5.30 -1.61 3.65
H -2.42 1.45 4.35
H -4.03 -0.16 5.20
H 0.08 3.48 2.87
H -0.33 2.06 3.83
H 3.79 3.04 2.15
H 0.53 -4.51 -5.02
H -4.90 -1.44 1.23
H 2.89 0.85 -4.20
H -5.48 0.96 -0.16
H -2.17 1.24 -4.26
H 3.72 0.44 3.82
H -0.82 -0.66 -6.30
H -4.47 2.40 -0.37
H -1.71 4.37 1.19
H -0.94 -1.28 3.53
H -2.35 4.80 -2.93
H -1.60 -5.72 1.82
H -1.72 5.49 -4.43
H 5.63 -1.04 -1.06
H 3.97 -0.57 -4.12
H 0.40 -4.19 4.96
H 1.85 -3.44 -3.21
H 0.50 0.40 -4.49
H -3.42 3.54 -4.75
H 2.90 -2.50 1.93
H 6.00 2.26 2.59
H -1.86 3.30 -5.54
H 3.70 0.40 -0.49
```

Computed properties:
gap between HOMO and LUMO (spin up / spin down)	9.636 / 9.640	eV
multiplicity	5
total charge	+2



Below is C40H50AlGeO7S2Si as an isolated structure, with properties calculated with wB97M-V/def2-TZVPD.

Geometry as XYZ:
```
102
C40H50AlGeO7S2Si wB97M-V/def2-TZVPD
Ge -0.80 5.15 1.32
S 1.88 0.08 -0.16
S -1.61 -1.55 0.20
Si 1.51 -0.36 -2.16
Al -0.32 0.31 0.28
O -0.37 0.49 2.02
O -1.09 1.80 -0.23
O 1.72 -1.92 -2.61
O -1.19 3.17 -1.98
O -0.29 0.36 4.22
O -0.10 -0.08 -2.32
O 2.43 0.48 -3.22
C 3.34 -2.43 -4.29
C 3.07 1.76 -3.23
C -0.96 7.54 -2.17
C 3.40 2.02 -4.70
C -1.45 -1.37 3.07
C -0.90 6.46 -1.30
C -1.71 5.65 4.09
C -0.64 -0.09 3.15
C 2.90 -2.67 -2.85
C -2.24 0.47 -3.18
C -0.96 -0.30 -3.45
C -1.59 6.15 5.39
C 4.00 -2.28 -1.88
C 2.13 2.82 -2.69
C -2.73 3.47 -0.17
C 0.90 4.24 1.02
C -2.96 -3.71 3.26
C -1.24 -1.79 -3.57
C 1.17 3.07 1.73
C -0.47 6.87 5.75
C -0.71 5.86 3.15
C 2.38 2.41 1.58
C 0.42 6.58 3.54
C 2.51 -4.13 -2.65
C -1.09 9.05 -0.31
C 3.09 4.09 0.02
C -1.05 8.83 -1.67
C -0.94 6.66 0.09
C 0.54 7.09 4.83
C -2.52 -3.08 4.42
C 4.35 1.69 -2.41
C -1.60 2.77 -0.91
C -1.77 -1.93 4.31
C -2.31 3.91 1.23
C -0.28 0.22 -4.71
C 3.34 2.93 0.73
C -1.89 -2.00 1.90
C -2.64 -3.17 2.03
C 1.87 4.74 0.16
C -1.03 7.97 0.57
H -3.16 4.39 1.73
H 4.28 2.41 0.60
H 2.59 3.81 -2.78
H 1.68 5.64 -0.41
H -0.32 -2.35 -3.70
H -3.54 -4.62 3.32
H -0.96 0.13 -5.56
H 1.90 2.64 -1.64
H -2.60 5.08 3.83